### Job
Transcribe the listing underneath from the first line to the one with "-2.063" verbatim.

### Given
~~~
DFT (the ωB97M-V functional and the def2-TZVPD basis) results for one molecule with the formula Br5HSi2 at a distorted geometry.

ORCA input file:
```
! wB97M-V def2-TZVPD RIJCOSX def2/J DEFGRID3
* xyz 0 1
H -0.517 -2.061 -1.274
Br -1.141 0.940 -2.407
Br -0.007 2.326 1.566
Br 2.684 0.724 -0.456
Br 1.516 -1.137 2.271
Br -2.644 -0.574 0.236
Si 0.851 0.401 0.858
Si -0.743 -0.618 -0.792
*
```

Output
Energy: -13449.87865 Eh
F_max: 2.24 eV/Å
ΔE to the lowest compared entry with this formula, charge and spin: 6.2 kcal per mole
Orbital gap: 0.3416 Ha

=====

DFT (the ωB97M-V functional and the def2-TZVPD basis) results for a 6-piece molecular cluster, C5H23NO5S2 overall at a distorted geometry.

ORCA input file:
```
! wB97M-V def2-TZVPD RIJCOSX def2/J DEFGRID3
* xyz 0 1
C 1.445 0.290 -0.185
O -1.786 -3.411 -0.991
C 2.261 1.012 0.917
H 0.336 0.838 -3.367
C -0.027 -0.342 3.154
H -1.090 -0.359 3.385
H 3.308 0.796 0.738
C 0.656 1.008 2.820
O -2.626 -0.305 -1.952
H 0.491 -0.663 4.066
C 2.148 -1.000 -0.614
H 2.728 -1.420 0.208
O -0.426 1.000 -2.791
H -2.626 3.716 -1.135
H -2.226 -2.810 -1.591
H 0.137 -0.995 2.305
H 1.404 -1.687 -1.023
H -1.021 1.047 -3.538
O -3.206 2.989 -1.311
H -3.552 -0.081 -2.063
H 2.467 -0.005 2.815
H -1.978 -3.022 -0.119
H 0.380 0.140 0.031
H -2.451 -0.798 -2.743
S 3.688 1.124 -2.591
H -2.645 2.340 -1.747
H 0.850 1.562 3.749
H -3.439 -2.661 1.899
H -0.010 1.469 2.084
S 3.128 -0.794 -2.202
H 2.011 2.075 0.789
H -1.873 -2.161 1.800
N 1.996 0.721 2.315
H 2.839 1.506 -3.540
O -2.757 -2.172 1.398
H 1.465 1.052 -0.972
*
```

Output
Energy: -1431.56461 Eh
F_max: 1.87 eV/Å
ΔE to the lowest compared entry with this formula, charge and spin: 17.1 kcal per mole
Orbital gap: 0.3042 Ha

=====

DFT (the ωB97M-V functional and the def2-TZVPD basis) results for one molecule with the formula C21H27N3O3.

ORCA input file:
```
! wB97M-V def2-TZVPD RIJCOSX def2/J DEFGRID3
* xyz 0 1
N 3.421 -1.608 0.327
H 1.643 1.726 -1.128
H -3.518 -1.360 -1.928
H 2.659 -0.559 -1.906
C -2.571 -0.829 -1.775
N 1.251 -1.806 0.589
C -3.824 0.856 -0.545
C 2.586 1.570 -1.649
O 2.551 -3.723 0.599
H -4.493 -0.508 2.476
O -0.256 -2.216 -1.761
C -2.487 -0.867 0.705
C -3.678 0.042 0.575
H -1.708 -0.300 1.236
C -2.835 0.670 -1.652
C 3.538 2.750 -1.393
H -5.004 2.361 -1.496
C -4.603 0.125 1.607
H 3.279 4.020 1.841
C 3.597 0.637 1.244
O 0.545 0.352 0.423
H 1.839 1.907 1.292
H 2.040 3.815 -0.273
H -1.895 1.175 -1.412
H 4.550 2.385 -1.211
H 4.215 0.159 -1.486
H 4.606 0.867 0.896
H 2.837 1.973 2.729
H -2.769 -1.734 1.315
C -5.661 1.013 1.529
H 0.126 -3.509 0.531
C -5.804 1.824 0.416
C -0.770 -1.973 -0.684
C -4.891 1.738 -0.620
H -6.629 2.517 0.353
H 3.700 0.010 2.133
C 2.871 1.932 1.638
H 4.626 3.104 1.183
C 2.924 -0.250 0.181
C 3.539 3.217 1.147
H -3.216 1.070 -2.592
C 3.123 3.676 -0.249
H -0.576 -2.194 1.519
H 3.581 3.353 -2.302
C -0.052 -2.432 0.595
C 2.451 -2.531 0.496
N -1.937 -1.314 -0.565
H 2.355 1.539 -2.716
H 3.580 4.655 -0.420
H -1.897 -1.054 -2.603
C 3.142 0.196 -1.278
C 1.433 -0.472 0.413
H -6.376 1.069 2.337
H 4.374 -1.865 0.139
*
```

Output
Energy: -1206.49373 Eh
F_max: 0.60 eV/Å
ΔE to the lowest compared entry with this formula, charge and spin: 24.7 kcal per mole
Orbital gap: 0.3578 Ha

=====

DFT (the ωB97M-V functional and the def2-TZVPD basis) results for one molecule with the formula C7H19NSSi at a distorted geometry.

ORCA input file:
```
! wB97M-V def2-TZVPD RIJCOSX def2/J DEFGRID3
* xyz 0 3
~~~

### Done
DFT (the ωB97M-V functional and the def2-TZVPD basis) results for one molecule with the formula Br5HSi2 at a distorted geometry.

ORCA input file:
```
! wB97M-V def2-TZVPD RIJCOSX def2/J DEFGRID3
* xyz 0 1
H -0.517 -2.061 -1.274
Br -1.141 0.940 -2.407
Br -0.007 2.326 1.566
Br 2.684 0.724 -0.456
Br 1.516 -1.137 2.271
Br -2.644 -0.574 0.236
Si 0.851 0.401 0.858
Si -0.743 -0.618 -0.792
*
```

Output
Energy: -13449.87865 Eh
F_max: 2.24 eV/Å
ΔE to the lowest compared entry with this formula, charge and spin: 6.2 kcal per mole
Orbital gap: 0.3416 Ha

=====

DFT (the ωB97M-V functional and the def2-TZVPD basis) results for a 6-piece molecular cluster, C5H23NO5S2 overall at a distorted geometry.

ORCA input file:
```
! wB97M-V def2-TZVPD RIJCOSX def2/J DEFGRID3
* xyz 0 1
C 1.445 0.290 -0.185
O -1.786 -3.411 -0.991
C 2.261 1.012 0.917
H 0.336 0.838 -3.367
C -0.027 -0.342 3.154
H -1.090 -0.359 3.385
H 3.308 0.796 0.738
C 0.656 1.008 2.820
O -2.626 -0.305 -1.952
H 0.491 -0.663 4.066
C 2.148 -1.000 -0.614
H 2.728 -1.420 0.208
O -0.426 1.000 -2.791
H -2.626 3.716 -1.135
H -2.226 -2.810 -1.591
H 0.137 -0.995 2.305
H 1.404 -1.687 -1.023
H -1.021 1.047 -3.538
O -3.206 2.989 -1.311
H -3.552 -0.081 -2.063